Master of Science in Teaching Chemistry
_Data records, kept here for reference_
[1]
The following is a quantum chemistry calculation of 3 unconnected molecules or ions with the total composition H6O3 at a distorted geometry, from OMol25.

The geometry in XYZ format:
```
9
Properties=species:S:1:pos:R:3:forces:R:3
O -0.844924 3.022017 12.643270 -0.12 -2.55 0.67
H -1.314710 3.810698 12.600868 -1.17 2.19 -0.16
H 0.018025 3.182130 12.321394 1.29 0.36 -0.51
O 0.157008 -0.796913 -7.793401 -1.13 -2.79 2.74
H -0.696464 -1.316874 -7.972451 1.82 1.24 0.15
H 0.421739 -1.269315 -6.875510 -0.79 1.47 -2.92
O 0.687303 -2.445737 -5.320231 -1.89 1.02 2.66
H 0.066694 -2.204312 -4.505735 1.94 -0.80 -2.66
H 1.505330 -1.981694 -5.098201 0.05 -0.14 0.02
```
Positions in Å, forces in eV/Å.

Computed properties:
Largest force on an atom = 4.07 eV Å⁻¹
Highest occupied orbital energy = -10.8 eV
Orbital gap = 11.32 eV
Total energy = -229.28848 a.u.
SMILES = O.O.O
ΔE to the lowest compared entry with this formula, charge and spin = 23.0 kcal/mol

[2]
The following is a quantum chemistry calculation of a molecular structure, C4H6FNO at a distorted geometry, from OMol25.

The geometry in XYZ format:
```
13
Properties=species:S:1:pos:R:3:forces:R:3
C 2.357655 -0.454082 -0.209263 -0.37 -0.62 -0.52
C -1.924493 -0.065133 -0.372997 2.16 -1.71 -1.21
C -0.067093 -0.165633 0.975091 1.10 0.24 -5.25
C 1.278694 0.434614 -0.382429 -1.93 -0.45 4.03
N 3.072622 -1.325084 -0.044860 1.16 -0.92 0.29
O -1.008471 -0.933913 0.331516 0.27 -0.11 1.24
F 1.656711 1.667050 -0.008271 0.37 1.84 0.68
H -2.481489 -0.811108 -0.888032 -0.77 -0.11 -0.90
H -1.234155 0.468648 -1.074465 -1.36 0.28 0.41
H -2.601118 0.497547 0.227550 -0.01 0.77 0.73
H -0.552410 0.724083 1.141425 -0.11 2.50 1.38
H 0.635525 -0.571220 1.620401 0.51 -1.20 1.47
H 0.868019 0.534230 -1.315665 -1.03 -0.50 -2.36
```
Positions in Å, forces in eV/Å.

Computed properties:
Largest force on an atom = 5.37 eV Å⁻¹
Highest occupied orbital energy = -9.5 eV
Orbital gap = 10.29 eV
Total energy = -385.75424 a.u.
ΔE to the lowest compared entry with this formula, charge and spin = 74.9 kcal/mol

[3]
The following is a quantum chemistry calculation of 2 unconnected molecules or ions with the total composition C4H8NOS at a distorted geometry, from OMol25.

The geometry in XYZ format:
```
15
Properties=species:S:1:pos:R:3:forces:R:3
C -0.490349 0.385519 0.379224 0.40 5.33 -1.09
C 0.212773 -1.862623 -0.164223 -0.33 -2.02 -0.40
C 0.147679 2.787469 -0.053630 0.64 5.53 -1.13
C -0.858159 -0.959231 0.482241 -1.86 -2.01 0.90
N -0.248668 1.520474 0.174655 -1.24 -6.45 1.12
O -3.225446 -0.265539 -0.784849 0.28 0.28 -0.99
S -4.353986 -0.345261 0.147697 -1.19 0.01 0.69
H 1.126469 -1.290735 -0.500482 -0.98 -0.96 0.36
H 0.452412 -2.680567 0.635408 -0.05 1.44 -1.89
H -0.371090 -2.344938 -1.062955 1.85 0.69 1.58
H 1.248165 2.928872 -0.240384 -1.04 -0.66 0.15
H -0.103747 3.491729 0.787255 0.22 -1.07 -0.35
H -0.407015 3.323510 -0.918841 0.78 -1.47 1.05
H -1.023566 -1.223456 1.592488 0.15 0.55 -1.62
H -1.881788 -1.135326 -0.114155 2.36 0.81 1.59
```
Sorted by: Author
none | Aaron, Jesrelljane J. | Effects of Varying Copper Concentrations on Photosynthesis of Gracilaria Salicornia Agardh (Gracilariaceae) and Padina Santae Crusis Borgesen (Dictyotaceae) | 3 | USC | May-12 |
Ab 16 ar | Abal, Arturo | Coral Community Structure of the Reef Flat Fronting the Western Coastal Area of Kauswagan, Lanao Del Norte | 3 | USC | Nov-87 |
All 3 j | Albano, Julie E. | Physiological and Histological Effects of Cadmium, Copper and Lead on the Marine Alga, Caulerpa Lentillifera J. Agardh (Chlorophyta, Bryopsidales) | 4 | USC | Oct-98 |
Al 16 j | Alcaria, Joselito Francis | Evaluation of the Biomass and Distribution Pattern of Target and Indicator Fish Species in Zaragosa Marine Sancturay, Badian Cebu, Philippines, Its Implication to Coastal Resource Management | 3 | USC | Feb-01 |
Ap 44 aL | Apongan, Alex Bado | Feeding Requirements of Penaeus Indicus H. Milne Edwards Larvae | 5 | USC | Jun-90 |
B 237 n | Barghi, Neda | Antibacterial Activity of Scleractinian Corals | 4 | USC | Oct-07 |
None | Belleza, Dominic Franco C. | Decadal Changes in the Benthic Macrophyte Assemblage and The Structure of the Sediments in a Shallow Embayment, Eastern Mactan Island, Central Philippines | 3 | USC | Feb-12 |
B 638 c | Bollozos, Camille Jane F. | Biomass of Gelatinous Zooplankton in Macajalar Bay, Misamis Oriental, Philippines | 4 | USC | Mar-08 |
B638 ir | Bollozos, Iris Salud F. | Spatio-Temporal Distribution and Abundance of Ichthyoplankton in Macajalar Bay, Misamis Oriental Philippines | 4 | USC | Mar-08 |
B 772 an | Briones, Anjou D. | Variability in Invertebrate Plankton Populatoin Density Inside and Outside Two Marine Sanctuaries in Cabilao Island, Loon, Bohol | 4 | USC | Oct-01 |
C 111 g | Cabactulan-Olavides, Gail | Morphological Changes of the Cells of the Green Mussi, Perna Viridis (Linnaeus, 1758) and Lettered Clam, Tapes Literatus (Linnaeus, 1758) Subjected to Varying Concentrations of Copper (Cu) and Lead (Pb) | 4 | USC | Dec-08 |
C 111 el | Cabahug, Elsa J. | Systematics and Distribution of Marine Shallow Water Brittlestars (Echinodermata:Ophiuroidea) of Mactan Island, Cebu, Philippines and Its Neighboring Islands | 223562 | USC | Feb-06 |
C 481 m | Ciasico, Ma. Natalia A. | Structural Typology of Benthic Community and Sedimentation Rate at Selected Reef Sites Surrounding Manicani Island, Guiuan, Central Philippines | 3 | USC | Mar-07 |
C 811 m | Cordero, Ma. Camila Rodette A. | Artificial Induction of Oocyte Maturation in the Sea Cucumber Actinopyga Miliaris Quoy and Gaimard (Echinodermata: Holothuroidea) | 3 | USC | Feb-89 |
D 127 el | Dadole, Eliza Labis | Status De Macrofauna and Flora in the Marine Sanctuaries of Apid, Mahaba and Digyo Islands, Inopacan, Leyte, Philippines | 5 | USC | Oct-07 |
D 36 h | De Dios Homer Hermes Y. | Spawning Induction and Larval Development of "Samong" Trochus Conus (Gmelin, 1790) | 4 | USC | Oct-99 |
D 621 an | Diola, Annie G. | Distribution of Shallow-Water Meiofauna Across a Horizontal Sediment Grain Size Gradient in Mactan Island, Cebu, Philippines | 4 | USC | Mar-98 |
D 98 d | Dy, Danilo T. | Nutrient Flux Across The Sediment-Water Interface and the Role Marine Sediments in the Nutrient Budget of a Eucheuma Farm | 2 | USC | Oct-84 |
Ed 68 r | Edpalina, Rizalita Rosalejos | The Gametic Development of the Wedge-Clam Donax SPP. In Migpangi (Panguil Bay) | 5 | USC | May-92 |
Es 19 p | Escudero, Pedro T. | Flying Fishes (Exocoetidae) In The Bohol Sea: Systematics, Methods Of Capture And Brief Ecology | 5 | USC | Mar-81 |
Es 27 el | EscaƱo, Elena M. | Control Of Euplotes Sp. (Ciliata: Protozoa) Using Chlorine in Laboratory Cultures of Tetraselmis Sp. (Prasinophyceae: Chlorophyta) | 4 | USC | May-85 |
F 391 v | Fernandez, Vitaliano V. | The Effect Of Cyanide On The Gross Morphology And Histology Of Selected Organs Of The Clown Fish Amphiprion Clarkii Pomacentridae; Pisces | 4 | USC | Oct-91 |
G 113 sa | Gabona, Saula F. | Effects of the Administration of Methyltestosterone (MT) and Thyroid Hormone (T4) on the Growth of Juvenile Rabbitfish Species, Siganus Punctatus And Siganus Canaliculatus | 4 | USC | Mar-99 |
G 229 j | Gatus, Joey Llamera | Population Systematics of Sea Kraits Laticauda Columbrina (Schneider) and Laticauda Laticaudata (Linnaeus) from the Philippines Using DNA Analysis and Venom Analysis | 4 | USC | Sep-00 |
G 311 p | Geraldino, Paul John L. | Monographic Study of the Marine Algal Genus Padina Adanson, 1763 (Phaeophyceae, Dictyotales) of the Visyas and Mindanao, Philippines | 3 | USC | Oct-04 |
G 931 ev | Gualberto, Eva P. | The Effects of Artificial Fertilizers on the Growth Rate of Eucheuma Cottonii Under Special Consideration of Water Movement and Application Techniques | 3 | USC | Oct-84 |
H 429 j | Hermosilla, Joepette J. | Lunar, Tidal and Diel Periodicity and the Influence of Surface Current in the Fish Eggs and Larval Densities Inside and Outside the Marine Sanctuaries of Cabilao Island, Loon, Bohol, Philippines | 4 | USC | Oct-01 |
Il 1 an | Ilano, Anthony | The Reproductive Cycle of the Nailon Clam, Paphia Textilis, ( Gmelin, 1791) Found In Bantayan Island, Cebu | 3 | USC | Oct-97 |
Is 2 l | Iseid, Lway | The Antibacterial Effects of the Extracts of Two Species of Brown Algae Sargassum Polycystum C. Agardh and Dictyota Dichotoma (Hudson) Lamouroux on Four Selected Bacteria | 3 | USC | Oct-93 |
Molecular data from another source follow
Entry 1:
# C49H49BaIN5S2Si

A structure of composition C49H49BaIN5S2Si (ωB97M-V with the def2-TZVPD basis set, the OMol25 dataset).

Cartesian coordinates (Å):
Ba -0.13280 0.61600 -0.15660
C 0.71640 -1.38790 -2.12730
Si 2.40840 -1.96090 -2.57000
C 3.06740 -3.01780 -1.10170
N 2.97100 -2.30160 0.15950
C 2.81100 -3.14560 1.32970
C 4.12700 -3.74070 1.85030
C 5.11850 -2.61780 2.20450
C 4.60770 -1.25370 1.73200
C 4.05040 -1.32990 0.31140
C 3.68440 -0.61520 -3.00170
C 5.02700 -0.92720 -3.18640
C 5.95770 0.04060 -3.52170
C 5.55510 1.35410 -3.68330
C 4.22270 1.68550 -3.51130
C 3.30190 0.70570 -3.17770
C 2.54450 -3.11000 -4.12070
C 3.14920 -2.69000 -5.30480
C 3.21330 -3.50180 -6.42340
C 2.64660 -4.76430 -6.39930
C 2.01310 -5.19630 -5.24620
C 1.96160 -4.37530 -4.13340
H 0.17550 -2.21980 -1.68010
H 0.15590 -1.04400 -2.99300
H 4.08970 -3.39350 -1.27670
H 2.42470 -3.89500 -1.03390
H 2.11210 -3.94840 1.08040
H 2.34220 -2.55150 2.12130
H 4.55100 -4.37940 1.07000
H 3.92260 -4.36660 2.72320
H 6.08350 -2.82500 1.73320
H 5.28260 -2.57640 3.28420
H 5.43190 -0.53600 1.74290
H 3.84270 -0.88390 2.41550
H 4.88480 -1.57920 -0.36320
H 3.67050 -0.34200 0.01690
H 5.35010 -1.95410 -3.08610
H 6.99630 -0.22920 -3.66830
H 6.27790 2.11400 -3.95120
H 3.90090 2.70900 -3.64790
H 2.26020 0.97000 -3.06740
H 3.59570 -1.70650 -5.34710
H 3.71850 -3.15750 -7.31760
H 2.69570 -5.40500 -7.27050
H 1.57010 -6.18410 -5.21630
H 1.46120 -4.72740 -3.24190
C -1.02160 1.26040 -4.41980
N -1.11520 1.66270 -3.04710
C -1.78360 2.73220 -2.80680
C -2.21320 3.15870 -1.53380
C -3.06470 4.25330 -1.28960
C -3.37840 4.20860 0.05810
C -2.70230 3.09880 0.56830
N -2.00200 2.46520 -0.37090
C -2.23400 0.46890 -4.86470
C -2.33790 0.06140 -6.19180
C -3.43420 -0.65590 -6.62990
C -4.44090 -0.99110 -5.74050
C -4.34410 -0.59630 -4.41670
C -3.25370 0.13930 -3.98220
H -0.13790 0.62630 -4.54600
H -0.91350 2.12990 -5.09630
H -2.13160 3.36100 -3.64680
H -3.41050 4.96540 -2.02040
H -4.02600 4.87600 0.60180
H -2.70730 2.74830 1.58620
H -1.55070 0.30830 -6.88950
H -3.50230 -0.95700 -7.66880
H -5.29180 -1.56440 -6.08060
H -5.11940 -0.87300 -3.71480
H -3.18820 0.46130 -2.95260
C -2.25700 0.96430 3.87380
C -2.90020 -0.24540 3.32090
N -2.85020 -0.65340 2.10970
C -3.60090 -1.76970 1.88810
C -4.22290 -2.25620 3.00630
S -3.88960 -1.26550 4.36660
C -3.77010 -2.34320 0.56510
C -4.84450 -3.11730 0.21060
S -4.71240 -3.63050 -1.42030
C -3.18560 -2.74930 -1.52070
N -2.86460 -2.15360 -0.43460
C -2.40820 -2.79990 -2.77320
H -1.52000 1.34390 3.16870
H -1.77710 0.73890 4.82510
H -3.00800 1.73530 4.05180
H -4.84330 -3.12430 3.10670
H -5.70180 -3.38750 0.79330
H -3.06290 -2.96350 -3.62730
H -1.68010 -3.61220 -2.72930
H -1.86710 -1.86800 -2.90400
I 1.12210 -0.38150 3.82530
C 2.04230 1.53440 4.13110
C 2.81250 1.62700 5.25940
C 3.38380 2.85450 5.62030
C 3.11950 3.95600 4.86200
C 2.32280 3.86740 3.70300
C 2.02570 5.03430 2.97520
C 1.27250 4.94620 1.83950
C 0.82330 3.69860 1.37780
C 1.05200 2.49780 2.03100
C 1.78760 2.61040 3.25400
none | Jimenez, Cesaria | Spawning Induction Of Anodontia Edentula (L.) (Mollusca: Bivalvia: Lucinidae): Some Notes On Its Embryonic And Larval Development | 4 | USC | Oct-91 |
J 564 j | Jimenez, Jaime | The Influence Of Salinity And Food On The Growth And Survival Of The Juvenile Wedge Clam, Donax Cuneatus (L.) (Mollusca Bivalvia: Donacidae) Under Laboratory Conditions | 4 | USC | Oct-91 |
L 324 d | Largo, Danilo | Taxonomy, Distribution and Some Aspects of the Ecology Of Seagrasses in Mactan Island and Vicinity | 3 | USC | Mar-86 |
L 614 l | Liao, Lawrence | Taxonomy and Distribution of the Marine Benthic Algae of the Cuyo Island, West Central Philippines | 1 | USC | Jul-87 |
L 855 m | Longakit, Ma. Belinda | Taxonomy And Distribution Of Shallow Water Marine Sponges (Phylum Porifera) Of Cebu, Philippines | 3 | USC | May-05 |
M 119 m | Macto, Magno Jr. | Growth Rate Of The Agarophyte Gracilariopsis Heteroclada Zhang and Xia, 1988 (Gracilariales, Rhodophyta) Using Three Pond Cultivation Methods In Kalawisan, Mactan Island, Cebu Philippines | 4 | USC | Jul-01 |
M 483 ad | Melendres, Adriano | Acute Toxicity Test Of Lannate Insecticide On Three Commercially Important Fingerlings Of The Visayan Region, Central Philippines | 2 | USC | Jan-11 |
M 523 an | Mendoza, Analyn | Stock Assessment And Reproductive Biology Of Spider Conch, Lambis lambis (Linne, 1758) (Gastropoda: Strombidae) In Guiuan, Eastern Samar, Philippines | 3 | USC | Mar-07 |
On 1 p | Onchan, Pichai | Trial Cultivation And Comparative Ammonium Up Take Rate Among Three Varieties Of Kappaphycus Alvarezii (Doty) Doty Ex P.C Silva AndKappaphycus Striatum (Schmitz) Doty Var. Sacol (Rhodophyta, Gigartinales) | 3 | USC | Apr-10 |
R 858 m | Ruinata, Mario | Effects Of Diatom Diet On Teh Growth And Survival Of Post-Larval Abalone, Haliotis Asinina (Linne) [Mollusca: Haliotidae] Under Hatchery Conditions | 3 | USC | Mar-07 |
Sa 74 j | Sarmago, Josephine | The Chemical Induction Of Spawing And Larval Settlement Of The Abalone, Haliotis Asinina (Linne.) | 3 | USC | Nov-90 |
Si 84 m | Sister, Maria Chona | Short-term Effects Of Dolomite Load On The Photosynthetic Rate Respiration Rate, Chlorophyll A Content And Calcification Rate Of Acropora Nasuta Dana (1846) | 4 | USC | Jul-97 |
So 79 f | Sotto, Filipina | Vertical Distribution And Seasonal Variation Of Phytoplankton In Cebu Harbor, Cebu, Philippines | 3 | USC | Oct-80 |
T 116 r | Tabucanon, Ruby | Systematics Of Benthic Polychaetous Annelids In The Intertidal Zone Of Mactan Island, Cebu | 3 | USC | Oct-83 |
T 159 | Tan Tiu, Antonieto | Systematics Of Intertidal Sea Cucumbers (Echinodermata: Holothuroidea) Of Mactan Island And Vicinity | 3 | USC | Mar-81 |
T 235 j | Tejada, Johann Friedrich | Morpho-taxonomy Of The Genus Ceratium Schrank 1793 (Gonyaulacales: Ceratiaceae) In Selected Sites Of The Philippines | 3 | USC | Feb-07 |
T 542 m | Tiu, Marilyn | The Antibacterial Activity Of Portulaca Oleracea, L. (Purslane) Against Selected Test Bacteria | 1 | USC | Mar-96 |
V 711 el | Villalluz, Elaine | Monthly Changes In Biomass Of Green Tide-Causing Species In An Organically Enriched Site Of Macajalar Bay, Misamis Oriental, Philippines | 3 | USC | Oct-06 |
none | Wagas, Ethel | Reproductive Cycle And Embryonic Development Of The Indian Volute, Melo melo (Lightfoot, 1786) (Gastropoda: Volutidae) | 3 | USC | Feb-11 |